I've been obsessed with the idea of hanging for nearly three years. Ever since Shug's videos introduced me to the wonderful world of suspension and tarps. I made my own, to see if I could fall asleep in the air - turns out I couldn't . . . until now.

I've read, "hammocks aren't for everyone" and figured I was one of the unlucky few that just didn't jive with them, but I couldn't figure out why.

Most days, I'd have a sore neck, shoulder, or back from sleeping wrong. Always thinking how nice it would be to use a hammock. I would lay awake in my hammock ALL NIGHT, until I'd eventually give up and go to sleep in my bed, and wake up sore in the morning.

It wasn't that I was uncomfortable - I really think it boils down to fear. I must have had a fear of falling in the back of my mind, that just didn't allow me to relax. (I've fallen a few times throughout the years- nothing major, mostly just disconcerting - usually from forgetting to back up my descender rings with a slippery hitch, and once when I used paracord for my suspension, before I knew better) I think subconsciously, my brain couldn't let me relax while suspended in the air.

Last weekend was the first time I managed to actually sleep in my hammock, and every night since has been BLISS! I FINALLY got over my fear! I just can't believe how long it took! I just want to tell people to stick to it, if anyone can relate. (I took some tylenol PM's for my very sore neck caused by my futon, which might have helped me relax enough to fall asleep that first time)

I've been a member here since September of 2010, but just now ordered my kit! I couldn't buy stuff, if it was impossible for me to use, so I waited.

I've been obsessed with splicing rope, learning knots, diagonal lays, hangles, tarps, etc - or at least the idea of these things. I just couldn't let it go. A lack of properly spaced trees might have also had something to do with not getting enough experience.

Ever since I got over my fear, I feel like tossing my bed (lopsided futon) out on the curb, and I've been hanging full-time since that first day.

I FINALLY bought some real gear, now that I know I'll be able to use it. It's been a long time coming, but I'm glad I waited, because of how "hammock technology" has evolved. I pulled the trigger on a 12 foot OMW tarp w/snakeskins from Wilderness Logics, and an eleven foot DangerBird from DreamHammock. I got some DutchWare and Zing-It to rig the OMW tarp, and have been using my TurtleLady Tribute Stand indoors with my MYOG Hammock with a regular sleeping bag until my new one arrives.

[Unrelated to this entry: materials data]
+++
one) A plane-wave DFT calculation with PBE-GGA was carried out for crystalline KSrPrNbO6 at its relaxed geometry.

Lattice parameters (Å, degrees): 6.1639 6.1639 6.1639 60.00 60.00 60.00
Fractional positions:
K1 0.0000 0.0000 0.0000
Sr1 0.5000 0.5000 0.5000
Pr1 0.2500 0.2500 0.2500
Nb1 0.7500 0.7500 0.7500
O1 0.5192 0.5192 0.9808
O2 0.5192 0.9808 0.5192
O3 0.5192 0.9808 0.9808
O4 0.9808 0.5192 0.5192
O5 0.9808 0.5192 0.9808
O6 0.9808 0.9808 0.5192

***

two) A plane-wave DFT calculation with PBE-GGA was carried out for crystalline KSrPrNbO6 at its relaxed geometry.

Lattice parameters (Å, degrees): 8.6626 8.6669 8.7014 90.00 90.00 90.00
Fractional positions:
K1 0.2500 0.2500 0.2500
K2 0.2500 0.7500 0.7500
K3 0.7500 0.2500 0.2500
K4 0.7500 0.7500 0.7500
Sr1 0.2500 0.2500 0.7500
Sr2 0.2500 0.7500 0.2500
Sr3 0.7500 0.2500 0.7500
Sr4 0.7500 0.7500 0.2500
Pr1 0.0000 0.0000 0.0000
Pr2 0.0000 0.5000 0.5000
Pr3 0.5000 0.0000 0.5000
Pr4 0.5000 0.5000 0.0000
Nb1 0.0000 0.0000 0.5000
Nb2 0.0000 0.5000 0.0000
Nb3 0.5000 0.0000 0.0000
Nb4 0.5000 0.5000 0.5000
O1 0.0221 0.2312 0.5378
O2 0.0221 0.2688 0.9622
O3 0.0251 0.0114 0.2694
O4 0.0251 0.4886 0.2306
O5 0.2302 0.5223 0.9806
O6 0.2302 0.9777 0.5194
O7 0.2698 0.5223 0.5194
O8 0.2698 0.9777 0.9806
O9 0.4749 0.0114 0.2306
O10 0.4749 0.4886 0.2694
O11 0.4779 0.2312 0.9622
O12 0.4779 0.2688 0.5378
O13 0.5221 0.7312 0.4622
O14 0.5221 0.7688 0.0378
O15 0.5251 0.5114 0.7306
O16 0.5251 0.9886 0.7694
O17 0.7302 0.0223 0.0194
O18 0.7302 0.4777 0.4806
O19 0.7698 0.0223 0.4806
O20 0.7698 0.4777 0.0194
O21 0.9749 0.5114 0.7694
O22 0.9749 0.9886 0.7306
O23 0.9779 0.7312 0.0378
O24 0.9779 0.7688 0.4622

***

Here are the energies relative to the best structure, in meV per atom: one) 21; two) 0.


No. 1
# Ba2TbZrO6 (GGA-PBE, relaxed)
# **M_tot**: 1.00 μB/cell
data_Ba2TbZrO6
_chemical_formula_sum 'Ba2 Tb1 Zr1 O6'
_cell_length_a 6.171
_cell_length_b 6.171
_cell_length_c 6.171
_cell_angle_alpha 60.00
_cell_angle_beta 60.00
_cell_angle_gamma 60.00
_space_group_name_H-M_alt 'P 1'
_space_group_IT_number 1
loop_
_space_group_symop_operation_xyz
'x,y,z'
loop_
_atom_site_label
_atom_site_type_symbol
_atom_site_fract_x
_atom_site_fract_y
_atom_site_fract_z
Ba1 Ba 0.250 0.250 0.250
Ba2 Ba 0.750 0.750 0.750
Tb1 Tb 0.000 0.000 0.000
Zr1 Zr 0.500 0.500 0.500
O1 O 0.258 0.258 0.742
O2 O 0.258 0.742 0.258
O3 O 0.258 0.742 0.742
O4 O 0.742 0.258 0.258
O5 O 0.742 0.258 0.742
O6 O 0.742 0.742 0.258

***

No. 2
# Na2InAgF6 (GGA-PBE, relaxed)
# **M_tot**: 0.00 μB/cell
data_Na2InAgF6
_chemical_formula_sum 'Na2 In1 Ag1 F6'
_cell_length_a 6.317
_cell_length_b 6.317
_cell_length_c 6.317
_cell_angle_alpha 60.00
_cell_angle_beta 60.00
_cell_angle_gamma 60.00
_space_group_name_H-M_alt 'P 1'
_space_group_IT_number 1
loop_
_space_group_symop_operation_xyz
'x,y,z'
loop_
_atom_site_label
_atom_site_type_symbol
_atom_site_fract_x
_atom_site_fract_y
_atom_site_fract_z
Na1 Na 0.250 0.250 0.250
Na2 Na 0.750 0.750 0.750
In1 In 0.000 0.000 0.000
+++

Now, I'm in the market for insulation. I think I'll try a ccf pad, but I know I'm going to go with an underquilt and maybe even a top quilt too. Thanks to HammockForums.net for not letting me give up!